Translations need to be accurate, pleasant to read, and easy to memorize. Preferably, free with no licensing restrictions on how they're used. We need them in English and thousands of foreign languages. We also need to produce new ones for people groups whose languages we're learning. In some cases, translators have to create written languages or concepts for those people groups. We need to do all of this quickly at low cost. How to go about all of this?
Problem Statement for English Translation
Top-notch texts, such as ESV or NKJV, have great wording. They're also legally encumbered with large fees. Zondervan quoted one guy $10,000 for a license, then a per-copy royalty, and they dictated certain features in his app. There's nothing in the Word of God that suggests we should restrict Bible translations to that degree or charge that much. That guy made the World English Bible. It's often good enough but ESV has beautiful wording and flow. I had some questions:
1. Can we update translations like WEB to be ESV quality?
2. Can we do that by using synonymous wording and grammar? As in, where we mostly don't need Hebrew and Greek experts?
3. Other, public-domain translations exist that were closer to how we speak today. Many resources were created before the 1920's where copyright cuts off. Can we scoop anything useful from them?
4. Optional question: with all the Spirit gave us over time, how much of today's writings do we even really need? Or could we go on just older work?
Problem Statement for Foreign-language Translation
Far as foreign translations, there's organizations taking in hundreds of millions of dollars to make Bibles. Their progress seems way slower than it should be. Many of their expenses are on support costs, not translators. They describe their progress in vague ways with words that change a lot. There seems to be little accountability. Third-party firms that do non-Christian translation seem to be more predictable, consistent, and cost-effective. How can we handle the foreign language issue?
My Project Ideas
My ideas below will try to solve one or both of these problems. Here's a list with links to ideas that are in this page:
Don't translate the Bible for them. That's a waste of time and money. Instead, do this:
1. Do the Gospel and key passages first. Who Christ is, our hope, and the basics of holy living. Enough so that, if no more money comes in, people are still getting saved and serving.
2. Pick passages that share words. You can translate the words in the first passage. Then, you've saved work on one or more others. It also has a mental effect of emphasizing things as they hear the repetition.
3. Don't create many words for few words. In English translations, they might use many, English words for one word in Hebrew or Greek. This often makes sense. Early on, try to avoid doing this where possible. If it's easy for a passage, go ahead and make it beautiful. If being selective, do it for hard-hitting verses.
4. Share that with people immediately. They'll have questions about it that might take more Bible passages to answer.
4. Translate those overtime as they're requested. You can be making steady progress on the rest, too.
Doing it this way might make salvation available to more people in more groups more quickly. Then, further resources will go to where demand is greatest. That is, where the Spirit is moving. This was my oldest idea in Bible translation.
I decided to apply that pattern to Bible translation. We'd use untrustworthy people to produce the alternative translations. Then, use expensive scholars to spot problems at a glance.
For English Translation of Specific Verses in New Testament (proof of concept)
1. Get people in low-cost areas who don't read modern translations to be the translators. They can't use modern translations to avoid infringing on them, even subconsciously. Use public-domain Greek text, English text, descriptions of grammatical-form of the Greek, and example verses for specific words.
(Note: Even in low-cost areas, still pay them well for whatever the job type is. We're being good to people, not exploiting them.)
2. They're given a list of verses with multiple, public-domain translations. They're asked to reword it in a way that matches original Greek. They produce a bunch of rewordings. They submit them all.
3. People in low-cost areas who know the Bible with advanced tools score the validity of that translation. As in, if it's valid at all with nothing else considered.
4. If something is valid, its words are put into a database for future translators to use. A public-domain database gradually forms this way.
5. People who don't read mainstream translations score verses on how pleasant they are to read, memorizability (if we can score that), and international comprehension. Use people from many continents.
6. All valid translations, the new database, and scored passages get published into new, public-domain work. It's officially published so Bible translations can use the passages or words while citing it as the source. That protects *them*.
My original concept for this was to use Amazon Mechanical Turks or something similar. That felt exploitative. It might not be if they're assigned a reasonable amount of Scripture with fair pay for it. The people doing M.T. work might find this job really fun in comparison to normal work on MT. I also thought about the freelancer web sites. The people who do proof-checking, subtitles, and other tedious work might enjoy this. They're also used to paying attention to detail. They'll probably do well checking on the Greek to English matching.
Gospel sharing opportunities! Include a paid translation of Christ-centered passages in John, Romans, or Ephesians 2. Include an optional link to my Gospel in English and their language. Most of my work uses WEB or other public-domain translations. They can read it. Pray that they want to know more about who Jesus Christ is as they do the translations. These become Gospel-sharing opportunities that also go to people in low-income, Internet-connected, English-speaking areas scattered all over the world. There's so much potential in this.
Test passage. This also gave me the idea for a test passage. We could assess people's skill by getting them to translate verses professionals already translated. If they fail at that, don't use them. If they succeed, then keep contracting them for their proven skill. Still rotate a bit to share the Gospel with more people. Also, some might be better at specific genres, esp poetry.
End goal: A pile of good material that translators with skill can mix and match from. Merge into existing Bibles like WEB.
Commentary Version
I think I changed first version to this by default later. It's just that it requires commentary notes that haven't been produced yet. See the "Study Bible" section for more on that. Add these possibilities:
1. Give the untrusted translators Greek, English words, definitions, sample verses, and helpful notes from commentaries.
2. Find commentaries or excerpts in common commentaries that paraphrase Bible verses. Make a list of those paraphrases. Maybe include any that are close to the Greek to give translators ideas for word or grammar transformations.
Scholarly Version
1. Same as above for generating the passages using low-cost, unskilled labor.
2. Scholars check each verse. They make notes, but not give terms, on what failures are occurring with what constraints people need to meet on specific passages.
3. The Greek, English, and these translator notes are given to the next round of untrusted writers. They repeat the process.
(Note: The cost of untrusted writing might go up with complexity. It might still be cheaper than scholars. It might also not be cheaper than scholars at some point.)
Round One
1. Use text from WEB.
2. Use notes and cross-references from Scofield Study Bible. Just because it reduces the problem to people typing or pasting them in. New problem: it's only dispensationalist. Maybe add a pass spotting which notes are dispensationalist to remove them or mention other possibilities.
3. Use or link to cross-references from Treasury of Scripture Knowledge.
4. Book intros made using notes from whole-book commentaries like Spurgeon's.
5. Dictionary, maps, etc from older books. Use as is or have an artist make fresh ones matching their info (eg names and ratios in maps).
6. Link or QR codes that take them to online version with commentaries, sermons, etc.
Round Two
For each book, make custom notes to try to hit the level of the ESV Study Bible. Use Matthew Henry Concise and larger commentary first. From there, look at commentaries on BibleHub to add short versions of the best comments for difficult lines or passages. It might be easier to do that from the beginning.
Risky Possibility to Make ESV-SB-grade Notes
ESV Study Bible, or ESV-SB here, is a top-notch product. We'd like an open alternative whose notes are just as good. We'd like them to be almost equivalent but not illegally copied. Can we use the ESV-SB to drive an independent creation that's similar but not a derivative or infringing work? I'm not sure. Here's the process, though.
1. Each person involved buys a full-priced copy of the ESV-SB from Crossway. The laborer deserves their wages.
2. They read through their allotted passages in the ESV-SB looking at the notes.
3. For each note, turn what it says into a topic, question about the text, or something else. The goal is to step back from the copywritten work in a way where we're vaguely describing what to produce rather than the specific text. Then, an independent team can produce study notes from that what. This might not be legally independent enough.
4. If not enough, produce from that a list of topics, questions, definitions to address, and so on. Much more abstract. Stands alone away from specific sections. It would now take considerable effort to both produce answers, decide where to place them, and how to word them.
5. Independent team which never saw ESV-SB decides where to put what notes in the new Bible.
This sounds like a lot of hard work. You might think it's pointless. It's just that ESV-SB had a multitude of laborers. Unless being really generous, those who were on payroll might have been expensive. They definitely got what they paid for. The above process can be done with experienced Christians who are not the top experts in their fields. If top experts are used, their comments for difficult passages can become free for the creation of many other works. So, you have more material available, draw on history's best teachers, lower cost of labor in general, and specialist labor that pays dividends in other projects. The overall project might still be cheaper, too.
Crowd-sourced, Need-based Notes
1. Let new believers or casual readers read a public-domain version of the Bible. They all go through the same book.
2. Give them free, candidate notes on the passages from public-domain commentaries.
3. For each labeled section, they pick whatever notes taught them something that wasn't obvious in the text. They also pick notes that really drove the point home. If conflicting explanations, they pick what they like best.
4. For conflicting explanations, we also let well-studied believers from multiple theologies look at them. They choose whatever they think are good explanations for their and other theologies. Good presentations of the ideas.
5. For each book of the Bible, a list of candidate notes is produced that could go in a study Bible.
6. For a specific Bible, pick which ones you want on each page in the limited space. Maybe pick one of each topic covered with a combination that covers the most material. Maybe automatically do this.
7. For online Bible, put all of them in for each passage. Still link to a full exposition with life application for every passage, too.
8. Optionally publish this on sites or apps with lots of readers. They can upvote the notes they like the most. Factor that into the next study Bible. Don't naively just put in the most popular to avoid tyranny of the majority. Make sure popular points are in there, though.
Sentence rewriters can make new sentences from existing ones that have the same meaning. A thesaurus can already give us synonyms we need.
1. Feed public-domain translations into sentence rewriters. Publish everything they spit out. Mix and match.
2. Use an open-source thesaurus with brute-force combinations of alternate words. Publish it all.
3. Combine a sentence rewriter with a thesaurus.
4. For the best outputs, publish them, pay people to rate them, and publish highest-rated equivalents. Merge them into Bibles.
The best translations often have great wording and structure. It's hard to produce both. Public-domain translations, such as WEB, are often less pleasing. We can't directly pull words from those translations. We might be able to indirectly produce them from tools that we indeed don't control. We need to honestly say we aren't just delegating our plagiarism to a tool designed to do that. We do want to feed it what might produce patterns in the text that's just as good, maybe even the same. It has to be independent.
There's a good chance they won't allow this. They might, though. If they do, here's the method:
1. License the best, word-for-word translations of the Bible. Pay the laborers their wages. Start with ESV, NKJV, and WEB for sure. Maybe add dynamic translations in a selective way where we only use passages that are close to formally-equivalent but have good wording or structure.
2. Put in the Greek... whichever parts their translations actually use... in with those translations' English. Dump it all in like a pot.
3. Tune the algorithm so each book only gets a small amount of weight or influence. We do this specifically for legal reasons. We want to say our tool didn't overuse any one translation.
3. Have it output something for each Greek passage.
4. Keep anything that is better than public-domain versions.
5. Publish it all as public domain. Merge the best stuff into existing, public-domain Bibles.
Google Translate works really well for some languages. Spanish speakers usually understand what I put in. The way I checked my Spanish Gospel was to run it both ways. If it is the same, it's probably a decent translation.
There's a risk it produces incorrect doctrine. There's the potential gain that, since the word is living and active, what they do read pulls them to want more of it. God might raise up people to help with translation at that point. My position for now is, when Google Translate has good results, it's better than giving them nothing. They'll burn in hell later without Jesus Christ in their lives now.
1. Run each verse or passage through Google translate both ways. If it matches, keep it.
2. For what doesn't match, try running different phrasings of it using public-domain translations. Keep what matches.
3. Give the list of translated verses to a biligual person. Let them keep what matches and note what doesn't.
4. Whatever is good enough gets put into word databases. Publish the verses, too.
**Calculated crystals from another source follow**
(1)
Tl2CrO4, optimized geometry, DFT PBE with a Hubbard U; E above lowest polymorph = 2.4 meV per atom
1.0
6.513 -2.961 0.000
6.513 2.961 0.000
-5.972 0.000 13.775
Tl Cr O
8 4 16
Direct
0.005 0.005 0.132 Tl
0.121 0.121 0.631 Tl
0.316 0.316 0.886 Tl
0.422 0.422 0.614 Tl
0.578 0.578 0.386 Tl
0.684 0.684 0.114 Tl
0.879 0.879 0.369 Tl
0.995 0.995 0.868 Tl
0.224 0.224 0.361 Cr
0.359 0.359 0.141 Cr
0.641 0.641 0.859 Cr
0.776 0.776 0.639 Cr
0.053 0.590 0.708 O
0.155 0.623 0.210 O
0.172 0.172 0.447 O
0.225 0.225 0.065 O
0.363 0.363 0.414 O
0.377 0.845 0.790 O
0.410 0.947 0.292 O
0.439 0.439 0.077 O
0.561 0.561 0.923 O
0.590 0.053 0.708 O
0.623 0.155 0.210 O
0.637 0.637 0.586 O
0.775 0.775 0.935 O
0.828 0.828 0.553 O
0.845 0.377 0.790 O
0.947 0.410 0.292 O

---

(2)
MgFe6O6F6, optimized geometry, DFT PBE with a Hubbard U; E above lowest polymorph = 44.9 meV per atom
1.0
5.044 0.000 0.000
0.000 3.088 0.000
-0.448 0.000 14.363
Mg Fe O F
1 6 6 6
Direct
0.000 0.000 0.000 Mg
0.087 0.500 0.498 Fe
0.110 0.500 0.816 Fe
0.503 0.000 0.006 Fe
0.515 0.000 0.341 Fe
0.529 0.000 0.658 Fe
0.941 0.500 0.189 Fe
0.223 0.000 0.435 O
0.249 0.500 0.947 O
0.284 0.000 0.765 O
0.367 0.500 0.599 O
0.760 0.500 0.045 O
0.768 0.000 0.249 O
0.203 0.000 0.119 F
0.308 0.500 0.280 F
0.710 0.500 0.415 F
0.771 0.500 0.721 F
0.851 0.000 0.870 F
0.866 0.000 0.568 F

---

(3)
This record from the Materials Project database describes Li32Mn13Cr3O48 after structural relaxation. The functional is PBE with a Hubbard U.

```
Li32Mn13Cr3O48
1.0
4.998 0.000 0.000
0.037 8.676 0.000
1.614 2.787 19.181
Li Mn Cr O
32 13 3 48
Direct
0.000 0.000 0.000 Li
0.000 0.000 0.500 Li
0.007 0.332 0.999 Li
0.008 0.334 0.500 Li
0.017 0.666 0.999 Li
0.018 0.665 0.499 Li
0.132 0.459 0.625 Li
0.136 0.457 0.125 Li
0.252 0.253 0.749 Li
0.255 0.254 0.249 Li
0.256 0.583 0.749 Li
0.258 0.583 0.249 Li
0.264 0.912 0.249 Li
0.264 0.913 0.750 Li
0.382 0.708 0.375 Li
0.383 0.708 0.874 Li
0.499 0.501 0.999 Li
0.500 0.502 0.500 Li
0.506 0.832 0.500 Li
0.508 0.833 0.000 Li
0.515 0.164 0.500 Li
0.515 0.165 0.999 Li
0.631 0.958 0.624 Li
0.633 0.958 0.124 Li
0.752 0.751 0.749 Li
0.752 0.754 0.250 Li
0.757 0.083 0.250 Li
0.758 0.083 0.750 Li
0.760 0.412 0.250 Li
0.764 0.415 0.749 Li
0.880 0.209 0.374 Li
0.883 0.208 0.874 Li
0.133 0.124 0.124 Mn
0.135 0.126 0.624 Mn
0.135 0.793 0.124 Mn
0.382 0.042 0.874 Mn
0.383 0.374 0.875 Mn
0.385 0.376 0.374 Mn
0.630 0.290 0.125 Mn
0.632 0.623 0.625 Mn
0.633 0.291 0.625 Mn
0.881 0.873 0.375 Mn
0.882 0.541 0.875 Mn
0.883 0.541 0.375 Mn
0.883 0.874 0.874 Mn
0.127 0.793 0.624 Cr
0.376 0.043 0.374 Cr
0.640 0.623 0.125 Cr
0.044 0.725 0.319 O
0.044 0.726 0.818 O
0.079 0.048 0.818 O
0.080 0.405 0.318 O
0.080 0.405 0.818 O
0.082 0.045 0.319 O
0.181 0.865 0.431 O
0.185 0.510 0.432 O
0.185 0.510 0.932 O
0.186 0.868 0.930 O
0.221 0.190 0.931 O
0.227 0.190 0.430 O
0.296 0.977 0.068 O
0.296 0.980 0.568 O
0.329 0.298 0.069 O
0.329 0.656 0.067 O
0.330 0.299 0.568 O
0.332 0.656 0.567 O
0.434 0.759 0.181 O
5. Whatever wasn't good enough is translated by a bilingual person using commentary notes.
6. Do the same with notes for an open, study Bible in that language.
(Not an original idea! I read somewhere that someone was going to try a third-party, non-Christian, translation service. I don't know any details about it. I'm building on that.)
• Inserted here: calculated crystals:
+++
Entry 1:
# U3Te5, optimized geometry, DFT PBE-GGA
# Energy relative to the lowest polymorph listed for this composition (eV per atom): 0.0000
data_U3Te5
_cell_length_a 16.265
_cell_length_b 4.129
_cell_length_c 14.093
_cell_angle_alpha 90.00
_cell_angle_beta 90.00
_cell_angle_gamma 90.00
_symmetry_space_group_name_H-M 'P 1'
_symmetry_Int_Tables_number 1
_symmetry_space_group_name_Hall 'P 1'
loop_
_atom_site_label
_atom_site_fract_x
_atom_site_fract_y
_atom_site_fract_z
U1 0.120 0.250 0.250
U2 0.127 0.750 0.590
U3 0.139 0.250 0.931
U4 0.361 0.750 0.431
U5 0.373 0.250 0.090
U6 0.380 0.750 0.750
U7 0.620 0.250 0.250
U8 0.627 0.750 0.910
U9 0.639 0.250 0.569
U10 0.861 0.750 0.069
U11 0.873 0.250 0.410
U12 0.880 0.750 0.750
Te1 0.025 0.750 0.390
Te2 0.067 0.750 0.797
Te3 0.075 0.750 0.081
Te4 0.215 0.250 0.454
Te5 0.236 0.250 0.721
Te6 0.264 0.750 0.221
Te7 0.285 0.750 0.954
Te8 0.425 0.250 0.581
Te9 0.433 0.250 0.297
Te10 0.475 0.250 0.890
Te11 0.525 0.750 0.110
Te12 0.567 0.750 0.703
Te13 0.575 0.750 0.419
Te14 0.715 0.250 0.046
Te15 0.736 0.250 0.779
Te16 0.764 0.750 0.279
Te17 0.785 0.750 0.546
Te18 0.925 0.250 0.919
Te19 0.933 0.250 0.203
Te20 0.975 0.250 0.610



Entry 2:
Here is an optimized crystal structure of U2Te3 from Materials Project. Energies are from PBE-GGA.

Structure (CIF):
```
data_U2Te3
_cell_length_a 15.310
_cell_length_b 15.310
_cell_length_c 15.310
_cell_angle_alpha 145.01
_cell_angle_beta 145.01
_cell_angle_gamma 50.32
_symmetry_space_group_name_H-M 'P 1'
_symmetry_Int_Tables_number 1
_symmetry_space_group_name_Hall 'P 1'
loop_
_atom_site_label
_atom_site_fract_x
_atom_site_fract_y
_atom_site_fract_z
U1 0.044 0.165 0.626
U2 0.168 0.168 0.000
U3 0.169 0.789 0.874
U4 0.211 0.085 0.379
U5 0.253 0.625 0.128
U6 0.375 0.503 0.628
U7 0.497 0.125 0.872
U8 0.539 0.419 0.374
U9 0.581 0.956 0.121
U10 0.582 0.082 0.500
U11 0.706 0.831 0.621
U12 0.832 0.832 0.000
U13 0.835 0.461 0.879
U14 0.875 0.747 0.372
U15 0.915 0.294 0.126
U16 0.918 0.418 0.500
Te1 0.011 0.760 0.906
Te2 0.073 0.476 0.250
Te3 0.176 0.927 0.402
Te4 0.186 0.440 0.095
Te5 0.190 0.436 0.595
Te6 0.226 0.323 0.750
Te7 0.226 0.824 0.750
Te8 0.240 0.146 0.250
Te9 0.345 0.091 0.905
Te10 0.405 0.810 0.246
Te11 0.510 0.261 0.406
Te12 0.524 0.774 0.098
Te13 0.524 0.774 0.598
Te14 0.560 0.655 0.746
Te15 0.564 0.159 0.754
Te16 0.574 0.476 0.250
Te17 0.677 0.426 0.902
Te18 0.739 0.146 0.250
Te19 0.841 0.595 0.405
Te20 0.854 0.104 0.094
Te21 0.854 0.104 0.594
Te22 0.896 0.490 0.750
Te23 0.896 0.989 0.750
Te24 0.909 0.814 0.254
```



Entry 3:
# U3Te5, optimized geometry, DFT PBE-GGA
# Energy relative to the lowest polymorph listed for this composition (eV per atom): 0.0429
data_U3Te5
_cell_length_a 13.207
_cell_length_b 8.800
_cell_length_c 8.333
_cell_angle_alpha 90.00
_cell_angle_beta 90.00
_cell_angle_gamma 90.00
_symmetry_space_group_name_H-M 'P 1'
_symmetry_Int_Tables_number 1
_symmetry_space_group_name_Hall 'P 1'
loop_
_atom_site_label
_atom_site_fract_x
_atom_site_fract_y
+++
• The piece goes on:
Simple Route
1. Hire an expert on third-party, translation services. They must know them well enough to build one.
2. Pay them to build one. Do Bibles primarily. Do other work on the side to pay the laborers.
I said it was simple, not cheap.
Harder Route (Brainstorming Session)
1. Hire an expert on third-party, translation services. They must know them well enough to build one.
2. Get them to write up a document listing what functions are actually needed, where they get candidates, costs, and so on. This is public-domain.
3. Get them to write up how they'd do a sample, translation project in a new language. That's public domain.
(Note: These two deliverables might be used to hold Bible translation companies more accountable. That itself might be worth the price of this work.)
4. Hire someone to produce a free course on how to create a language out of thin air from an unstudied people. Especially a written language for people with oral traditions. How do you train them in it, too? There's organizations with paid versions of these trainings. We're democratizing it.
5. Get examples of this done with languages of many varieties. I remember one project was for a language with no abstractions and only verbs. Give many examples.
6. Online site where people can submit tricky situations, request help, and catalog known solutions to various problems. Makes it easier for people in the field.
7. Missionary-grade computers and satellite gear to aid in this work. What do people use in the middle of nowhere? What really worked and didn't? Need a list.
That's all for now.
(Read the Gospel with proof it's true and my story. Learn how to live and share it. Go back to main page.)